What to do.
Now return the whole of the contents further down verbatim.
File.
/*
! CaTcB2Ru PBE-GGA optimized geometry; values from VASP
&SYSTEM
  ibrav = 0, nat = 5, ntyp = 4
/
ATOMIC_SPECIES
B 10.81 B.upf
Ru 101.07 Ru.upf
Tc 98.00 Tc.upf
Ca 40.08 Ca.upf
ATOMIC_POSITIONS crystal
B 0.500 0.000 0.000
Ru 0.000 0.500 0.000
B 0.000 0.000 0.500
Tc 0.500 0.500 0.500
Ca 0.000 0.000 0.000
CELL_PARAMETERS angstrom
-2.179 3.659 0.401
-3.644 -2.010 -1.458
-1.027 -1.052 4.017
! Formation enthalpy at 0 K: 2.96 eV/atom
! Size of the total moment: 0.0 μB/cell
! Theoretical density: 5366 kg/m³

* * * * *

Density functional theory data (PBE) for a geometry-optimized Mg15B structure.

Geometry as extended XYZ:
```
16
Lattice="-2.984 4.163 -3.675 2.939 -4.945 -2.580 -8.357 -5.347 0.729" Properties=species:S:1:pos:R:3 pbc="T T T"
Mg 0.057 -4.720 -2.588
Mg -2.718 -5.136 -0.953
Mg -1.500 1.675 -4.918
Mg -7.262 -2.873 -2.765
Mg -2.740 -5.521 -4.029
Mg -4.185 -3.090 -2.761
Mg -5.985 -5.435 -4.102
Mg -1.491 -2.560 -4.494
Mg -4.437 -7.594 -2.196
Mg -3.115 -0.220 -3.127
Mg -0.051 -0.348 -3.133
Mg -4.179 -2.673 0.364
Mg -1.478 2.055 -1.880
Mg -1.468 -2.155 -1.249
Mg -5.961 -5.030 -0.857
B 0.000 0.000 0.000
```

- D(E_F): 7.86 states/eV per cell
- Formation energy: 0.18 eV per atom
- SG: P-6m2 (187)
- VASP energy: -0.06367 Ha/atom

* * * * *

No. 1
Crystalline Rb2ScTlI6 at its relaxed geometry, computed with PBE.

abc: 8.792 8.793 8.746
angles: 59.83 59.83 59.99
Atoms (fractional coordinates):
Rb 0.544 0.544 0.367
Rb 0.035 0.035 0.894
Sc 0.322 0.322 0.035
Tl 0.817 0.817 0.550
I 0.545 0.181 0.264
I 0.181 0.010 0.264
I 0.010 0.546 0.264
I 0.459 0.639 0.792
I 0.639 0.110 0.793
I 0.110 0.459 0.793

**DFT total energy**: -3.212 eV per atom


No. 2
Crystalline InSi2Te at its relaxed geometry, computed with PBE.

abc: 6.094 6.094 7.751
angles: 66.85 66.85 90.00
Atoms (fractional coordinates):
Si 0.611 0.125 0.250
Si 0.139 0.625 0.250
Si 0.375 0.389 0.750
Si 0.875 0.861 0.750
Te 0.000 0.000 0.000
Te 0.750 0.250 0.500
In 0.500 0.500 0.000
In 0.250 0.750 0.500

**DFT total energy**: -3.734 eV per atom
**Relative energy among the computed polymorphs**: 268 meV/atom


Number 1: D(E_F) 0.00 states/eV/f.u., calculated volume 47.68 Å³/atom, calculated density 4.1 Mg/m³. Number 2: D(E_F) 3.46 states/eV/f.u., calculated volume 29.91 Å³/atom, calculated density 4.1 Mg/m³.

* * * * *

Entry 1:
{
  "formula": "LiY2MgH",
  "functional": "PBE-GGA",
  "state": "optimized geometry",
  "cell": [[5.1200, 0.0000, 0.0000], [0.0000, 5.1200, 0.0000], [0.0000, 0.0000, 3.9134]],
  "species": ["Li", "Y", "Y", "Mg", "H"],
  "frac_coords": [[0.0000, 0.0000, 0.0000], [0.0000, 0.5000, 0.5000], [0.5000, 0.0000, 0.5000], [0.5000, 0.5000, 0.0000], [0.0000, 0.0000, 0.5000]],
  "relative_energy_ev_per_atom": 0.0000,
  "dos_at_fermi_per_ev_fu": 4.55,
  "total_magnetization_mub_per_fu": 0.4
}

***

Entry 2:
{
  "formula": "Pr3As",
  "functional": "PBE-GGA",
  "state": "optimized geometry",
  "cell": [[4.1676, 0.0000, 0.0000], [0.0000, 4.1717, 0.0000], [0.0000, 0.0000, 7.8862]],
  "species": ["Pr", "Pr", "Pr", "As"],
  "frac_coords": [[0.0000, 0.0000, 0.0000], [0.0000, 0.5000, 0.3496], [0.5000, 0.5000, 0.7004], [0.5000, 0.0000, 0.3520]],
  "formation_energy_ev_per_fu": -1.65,
  "relative_energy_ev_per_atom": 0.1762,
  "dos_at_fermi_per_ev_fu": 4.04,
  "total_magnetization_mub_per_fu": 0.0
}

***

Entry 3:
{
  "formula": "Tb2Pr5Tm2",
  "functional": "PBE-GGA",
  "state": "optimized geometry",
  "cell": [[-7.6158, 6.4821, 3.1250], [7.6158, -6.4821, 3.1250], [7.6158, 6.4821, -3.1250]],
  "species": ["Tb", "Tb", "Tb", "Tb", "Pr", "Pr", "Pr", "Pr", "Pr", "Pr", "Pr", "Pr", "Pr", "Pr", "Tm", "Tm", "Tm", "Tm"],
*/
Done.
! CaTcB2Ru PBE-GGA optimized geometry; values from VASP
&SYSTEM
  ibrav = 0, nat = 5, ntyp = 4
/
ATOMIC_SPECIES
B 10.81 B.upf
Ru 101.07 Ru.upf
Tc 98.00 Tc.upf
Ca 40.08 Ca.upf
ATOMIC_POSITIONS crystal
B 0.500 0.000 0.000
Ru 0.000 0.500 0.000
B 0.000 0.000 0.500
Tc 0.500 0.500 0.500
Ca 0.000 0.000 0.000
CELL_PARAMETERS angstrom
-2.179 3.659 0.401
-3.644 -2.010 -1.458
-1.027 -1.052 4.017
! Formation enthalpy at 0 K: 2.96 eV/atom
! Size of the total moment: 0.0 μB/cell
! Theoretical density: 5366 kg/m³

* * * * *

Density functional theory data (PBE) for a geometry-optimized Mg15B structure.

Geometry as extended XYZ:
```
16
Lattice="-2.984 4.163 -3.675 2.939 -4.945 -2.580 -8.357 -5.347 0.729" Properties=species:S:1:pos:R:3 pbc="T T T"
Mg 0.057 -4.720 -2.588
Mg -2.718 -5.136 -0.953
Mg -1.500 1.675 -4.918
Mg -7.262 -2.873 -2.765
Mg -2.740 -5.521 -4.029
Mg -4.185 -3.090 -2.761
Mg -5.985 -5.435 -4.102
Mg -1.491 -2.560 -4.494
Mg -4.437 -7.594 -2.196
Mg -3.115 -0.220 -3.127
Mg -0.051 -0.348 -3.133
Mg -4.179 -2.673 0.364
Mg -1.478 2.055 -1.880
Mg -1.468 -2.155 -1.249
Mg -5.961 -5.030 -0.857
B 0.000 0.000 0.000
```

- D(E_F): 7.86 states/eV per cell
- Formation energy: 0.18 eV per atom
- SG: P-6m2 (187)
- VASP energy: -0.06367 Ha/atom

* * * * *

No. 1
Crystalline Rb2ScTlI6 at its relaxed geometry, computed with PBE.

abc: 8.792 8.793 8.746
angles: 59.83 59.83 59.99
Atoms (fractional coordinates):
Rb 0.544 0.544 0.367
Rb 0.035 0.035 0.894
Sc 0.322 0.322 0.035
Tl 0.817 0.817 0.550
I 0.545 0.181 0.264
I 0.181 0.010 0.264
I 0.010 0.546 0.264
I 0.459 0.639 0.792
I 0.639 0.110 0.793
I 0.110 0.459 0.793

**DFT total energy**: -3.212 eV per atom


No. 2
Crystalline InSi2Te at its relaxed geometry, computed with PBE.

abc: 6.094 6.094 7.751
angles: 66.85 66.85 90.00
Atoms (fractional coordinates):
Si 0.611 0.125 0.250
Si 0.139 0.625 0.250
Si 0.375 0.389 0.750
Si 0.875 0.861 0.750
Te 0.000 0.000 0.000
Te 0.750 0.250 0.500
In 0.500 0.500 0.000
In 0.250 0.750 0.500

**DFT total energy**: -3.734 eV per atom
**Relative energy among the computed polymorphs**: 268 meV/atom


Number 1: D(E_F) 0.00 states/eV/f.u., calculated volume 47.68 Å³/atom, calculated density 4.1 Mg/m³. Number 2: D(E_F) 3.46 states/eV/f.u., calculated volume 29.91 Å³/atom, calculated density 4.1 Mg/m³.

* * * * *

Entry 1:
{
  "formula": "LiY2MgH",
  "functional": "PBE-GGA",
  "state": "optimized geometry",
  "cell": [[5.1200, 0.0000, 0.0000], [0.0000, 5.1200, 0.0000], [0.0000, 0.0000, 3.9134]],
  "species": ["Li", "Y", "Y", "Mg", "H"],
  "frac_coords": [[0.0000, 0.0000, 0.0000], [0.0000, 0.5000, 0.5000], [0.5000, 0.0000, 0.5000], [0.5000, 0.5000, 0.0000], [0.0000, 0.0000, 0.5000]],
  "relative_energy_ev_per_atom": 0.0000,
  "dos_at_fermi_per_ev_fu": 4.55,
  "total_magnetization_mub_per_fu": 0.4
}

***

Entry 2:
{
  "formula": "Pr3As",
  "functional": "PBE-GGA",
  "state": "optimized geometry",
  "cell": [[4.1676, 0.0000, 0.0000], [0.0000, 4.1717, 0.0000], [0.0000, 0.0000, 7.8862]],
  "species": ["Pr", "Pr", "Pr", "As"],
  "frac_coords": [[0.0000, 0.0000, 0.0000], [0.0000, 0.5000, 0.3496], [0.5000, 0.5000, 0.7004], [0.5000, 0.0000, 0.3520]],
  "formation_energy_ev_per_fu": -1.65,
  "relative_energy_ev_per_atom": 0.1762,
  "dos_at_fermi_per_ev_fu": 4.04,
  "total_magnetization_mub_per_fu": 0.0
}

***

Entry 3:
{
  "formula": "Tb2Pr5Tm2",
  "functional": "PBE-GGA",
  "state": "optimized geometry",
  "cell": [[-7.6158, 6.4821, 3.1250], [7.6158, -6.4821, 3.1250], [7.6158, 6.4821, -3.1250]],
  "species": ["Tb", "Tb", "Tb", "Tb", "Pr", "Pr", "Pr", "Pr", "Pr", "Pr", "Pr", "Pr", "Pr", "Pr", "Tm", "Tm", "Tm", "Tm"],